== What to do ==
Transcribe the whole of the listing underneath without altering anything.
== Contents ==
This record from OMol25 describes a structure of composition C6H12MnN5O2SSe2Te2 in a non-equilibrium geometry. The level of theory is ωB97M-V/def2-TZVPD.

Calculated values
HOMO-LUMO gap (alpha / beta) in eV: 5.125 / 6.911
M in g mol⁻¹: 686.32
E_tot in Eh: -7548.2635
Expectation value of S²: 6.36
Multiplicity: 5
E_HOMO (alpha / beta) in eV: -7.235 / -7.534
Relative energy (zero: lowest compared OMol25 entry of this formula, charge and spin) in kcal per mole: 6.82

Atoms and positions in Å:
Mn: 0.775 -0.726 0.025
N: 2.553 -2.216 0.379
C: 2.869 -2.425 1.827
C: 2.388 -1.239 2.663
C: 0.896 -1.354 2.850
O: 0.405 -1.610 3.917
O: 0.169 -1.223 1.718
H: 2.371 -3.098 -0.070
H: 3.330 -1.802 -0.101
H: 3.931 -2.599 1.978
H: 2.342 -3.313 2.162
H: 2.640 -0.315 2.145
H: 2.851 -1.226 3.644
Se: 0.883 -3.422 -2.814
Te: 1.222 -1.191 -3.902
Te: -0.717 -2.805 -0.962
Se: 1.834 0.174 -1.864
C: -3.702 2.433 -2.184
C: -2.769 2.638 -1.046
N: -2.834 3.575 -0.163
N: -1.732 3.323 0.638
C: -1.004 2.273 0.279
S: 0.428 1.718 0.970
N: -1.670 1.828 -0.802
N: -1.287 0.649 -1.423
H: -4.404 3.265 -2.214
H: -4.263 1.503 -2.075
H: -3.154 2.392 -3.128
H: -1.543 3.912 1.426
H: -2.075 0.066 -1.627
H: -0.733 0.816 -2.246

Force components x, y, z for each atom (eV/Å):
Mn -0.71 -0.41 0.63
N -0.06 0.30 1.09
C -0.14 0.14 -0.43
C 0.11 -0.17 -0.15
C -0.89 0.13 -1.23
O -0.17 0.01 0.20
O 0.32 -0.38 1.52
H -0.20 -0.24 -0.27
H 0.44 0.19 -0.24
H 0.15 0.01 -0.02
H -0.02 -0.18 -0.01
H 0.09 0.24 -0.04
H 0.09 -0.04 0.06
Se 0.10 -0.05 0.13
Te -0.15 0.08 0.05
Te 0.08 0.08 -0.14
Se 0.85 0.41 -1.22
C 0.03 0.00 0.07
C 0.07 -0.24 -0.31
N 0.66 -0.23 0.43
N -0.49 0.85 0.35
C 0.31 0.11 0.13
S 0.03 0.03 -0.01
N -0.23 -0.72 -0.73
N -0.21 0.17 0.28
H 0.06 -0.07 0.02
H 0.04 0.04 0.01
H -0.02 0.00 0.06
H 0.01 0.14 0.10
H -0.42 -0.30 -0.02
H 0.25 0.10 -0.30

This record from OMol25 describes a cluster of 2 separate species, C25H29N5O5Si in total in a non-equilibrium geometry. The level of theory is ωB97M-V/def2-TZVPD.

Calculated values
HOMO-LUMO gap in eV: 6.740
M in g mol⁻¹: 507.62
E_tot in Eh: -1909.2421
Multiplicity: 1
SMILES: C[Si](C)(C)OC(c1ccccc1)(c1ccccc1)[C@@H]1CCCN1.O=[N+]([O-])c1cnc2no[n+]([O-])c2c1
E_HOMO in eV: -8.686

Atoms and positions in Å:
C: 0.600 2.237 -3.597
Si: 0.445 1.001 -2.207
C: -0.293 -0.595 -2.812
C: 2.076 0.751 -1.353
O: -0.562 1.700 -1.081
C: -1.762 1.406 -0.383
C: -2.987 1.689 -1.301
C: -2.862 2.297 -2.550
C: -3.982 2.399 -3.389
C: -5.245 2.019 -2.929
C: -5.398 1.556 -1.618
C: -4.273 1.404 -0.802
C: -1.688 -0.045 0.136
C: -2.641 -1.028 -0.145
C: -2.472 -2.329 0.343
C: -1.334 -2.670 1.070
C: -0.332 -1.717 1.274
C: -0.504 -0.424 0.773
C: -1.912 2.458 0.749
C: -1.559 3.885 0.327
C: -0.892 4.542 1.538
C: -0.791 3.488 2.635
N: -1.290 2.211 2.047
H: 1.424 1.918 -4.254
H: -0.313 2.297 -4.204
H: 0.833 3.240 -3.212
H: 0.280 -0.915 -3.696
H: -0.235 -1.389 -2.055
H: -1.344 -0.472 -3.107
H: 2.837 0.495 -2.104
H: 2.389 1.668 -0.836
H: 2.043 -0.057 -0.611
H: -1.894 2.680 -2.881
H: -3.843 2.784 -4.401
H: -6.112 2.095 -3.588
H: -6.383 1.291 -1.229
H: -4.380 1.046 0.228
H: -3.517 -0.794 -0.751
H: -3.252 -3.067 0.148
H: -1.211 -3.672 1.479
H: 0.585 -1.961 1.812
H: 0.306 0.307 0.846
H: -2.992 2.479 0.984
H: -0.907 3.886 -0.555
H: -2.498 4.387 0.056
H: 0.107 4.908 1.276
H: -1.481 5.395 1.893
H: 0.233 3.345 2.997
H: -1.420 3.736 3.503
H: -2.089 1.786 2.632
O: -3.064 0.881 3.300
N: -2.478 0.481 4.367
C: -1.066 0.595 4.513
C: -0.173 0.838 3.472
C: 1.119 0.488 3.798
N: 2.173 0.281 2.914
O: 2.356 0.677 1.771
O: 3.079 -0.603 3.519
N: 2.667 -0.896 4.842
C: 1.481 -0.239 4.986
N: 0.615 -0.382 5.991
C: -0.582 0.148 5.797
O: -3.134 -0.040 5.286
H: -0.405 1.202 2.424
H: -1.284 0.151 6.635

Force components x, y, z for each atom (eV/Å):
C 0.20 0.00 -0.19
Si -0.60 0.00 0.51
C 0.15 -0.25 -0.25
C 0.30 -0.07 -0.18
O -0.11 0.19 0.33
C 0.00 0.42 -0.70
C -0.01 -0.07 0.54
C -0.13 -0.39 -0.10
C 0.01 0.10 0.33
C 0.16 -0.03 -0.04
C 0.35 0.03 0.10
C -0.08 0.06 -0.47
C 0.01 -0.01 -0.60
C 0.08 -0.15 0.33
== Result ==
This record from OMol25 describes a structure of composition C6H12MnN5O2SSe2Te2 in a non-equilibrium geometry. The level of theory is ωB97M-V/def2-TZVPD.

Calculated values
HOMO-LUMO gap (alpha / beta) in eV: 5.125 / 6.911
M in g mol⁻¹: 686.32
E_tot in Eh: -7548.2635
Expectation value of S²: 6.36
Multiplicity: 5
E_HOMO (alpha / beta) in eV: -7.235 / -7.534
Relative energy (zero: lowest compared OMol25 entry of this formula, charge and spin) in kcal per mole: 6.82

Atoms and positions in Å:
Mn: 0.775 -0.726 0.025
N: 2.553 -2.216 0.379
C: 2.869 -2.425 1.827
C: 2.388 -1.239 2.663
C: 0.896 -1.354 2.850
O: 0.405 -1.610 3.917
O: 0.169 -1.223 1.718
H: 2.371 -3.098 -0.070
H: 3.330 -1.802 -0.101
H: 3.931 -2.599 1.978
H: 2.342 -3.313 2.162
H: 2.640 -0.315 2.145
H: 2.851 -1.226 3.644
Se: 0.883 -3.422 -2.814
Te: 1.222 -1.191 -3.902
Te: -0.717 -2.805 -0.962
Se: 1.834 0.174 -1.864
C: -3.702 2.433 -2.184
C: -2.769 2.638 -1.046
N: -2.834 3.575 -0.163
N: -1.732 3.323 0.638
C: -1.004 2.273 0.279
S: 0.428 1.718 0.970
N: -1.670 1.828 -0.802
N: -1.287 0.649 -1.423
H: -4.404 3.265 -2.214
H: -4.263 1.503 -2.075
H: -3.154 2.392 -3.128
H: -1.543 3.912 1.426
H: -2.075 0.066 -1.627
H: -0.733 0.816 -2.246

Force components x, y, z for each atom (eV/Å):
Mn -0.71 -0.41 0.63
N -0.06 0.30 1.09
C -0.14 0.14 -0.43
C 0.11 -0.17 -0.15
C -0.89 0.13 -1.23
O -0.17 0.01 0.20
O 0.32 -0.38 1.52
H -0.20 -0.24 -0.27
H 0.44 0.19 -0.24
H 0.15 0.01 -0.02
H -0.02 -0.18 -0.01
H 0.09 0.24 -0.04
H 0.09 -0.04 0.06
Se 0.10 -0.05 0.13
Te -0.15 0.08 0.05
Te 0.08 0.08 -0.14
Se 0.85 0.41 -1.22
C 0.03 0.00 0.07
C 0.07 -0.24 -0.31
N 0.66 -0.23 0.43
N -0.49 0.85 0.35
C 0.31 0.11 0.13
S 0.03 0.03 -0.01
N -0.23 -0.72 -0.73
N -0.21 0.17 0.28
H 0.06 -0.07 0.02
H 0.04 0.04 0.01
H -0.02 0.00 0.06
H 0.01 0.14 0.10
H -0.42 -0.30 -0.02
H 0.25 0.10 -0.30

This record from OMol25 describes a cluster of 2 separate species, C25H29N5O5Si in total in a non-equilibrium geometry. The level of theory is ωB97M-V/def2-TZVPD.

Calculated values
HOMO-LUMO gap in eV: 6.740
M in g mol⁻¹: 507.62
E_tot in Eh: -1909.2421
Multiplicity: 1
SMILES: C[Si](C)(C)OC(c1ccccc1)(c1ccccc1)[C@@H]1CCCN1.O=[N+]([O-])c1cnc2no[n+]([O-])c2c1
E_HOMO in eV: -8.686

Atoms and positions in Å:
C: 0.600 2.237 -3.597
Si: 0.445 1.001 -2.207
C: -0.293 -0.595 -2.812
C: 2.076 0.751 -1.353
O: -0.562 1.700 -1.081
C: -1.762 1.406 -0.383
C: -2.987 1.689 -1.301
C: -2.862 2.297 -2.550
C: -3.982 2.399 -3.389
C: -5.245 2.019 -2.929
C: -5.398 1.556 -1.618
C: -4.273 1.404 -0.802
C: -1.688 -0.045 0.136
C: -2.641 -1.028 -0.145
C: -2.472 -2.329 0.343
C: -1.334 -2.670 1.070
C: -0.332 -1.717 1.274
C: -0.504 -0.424 0.773
C: -1.912 2.458 0.749
C: -1.559 3.885 0.327
C: -0.892 4.542 1.538
C: -0.791 3.488 2.635
N: -1.290 2.211 2.047
H: 1.424 1.918 -4.254
H: -0.313 2.297 -4.204
H: 0.833 3.240 -3.212
H: 0.280 -0.915 -3.696
H: -0.235 -1.389 -2.055
H: -1.344 -0.472 -3.107
H: 2.837 0.495 -2.104
H: 2.389 1.668 -0.836
H: 2.043 -0.057 -0.611
H: -1.894 2.680 -2.881
H: -3.843 2.784 -4.401
H: -6.112 2.095 -3.588
H: -6.383 1.291 -1.229
H: -4.380 1.046 0.228
H: -3.517 -0.794 -0.751
H: -3.252 -3.067 0.148
H: -1.211 -3.672 1.479
H: 0.585 -1.961 1.812
H: 0.306 0.307 0.846
H: -2.992 2.479 0.984
H: -0.907 3.886 -0.555
H: -2.498 4.387 0.056
H: 0.107 4.908 1.276
H: -1.481 5.395 1.893
H: 0.233 3.345 2.997
H: -1.420 3.736 3.503
H: -2.089 1.786 2.632
O: -3.064 0.881 3.300
N: -2.478 0.481 4.367
C: -1.066 0.595 4.513
C: -0.173 0.838 3.472
C: 1.119 0.488 3.798
N: 2.173 0.281 2.914
O: 2.356 0.677 1.771
O: 3.079 -0.603 3.519
N: 2.667 -0.896 4.842
C: 1.481 -0.239 4.986
N: 0.615 -0.382 5.991
C: -0.582 0.148 5.797
O: -3.134 -0.040 5.286
H: -0.405 1.202 2.424
H: -1.284 0.151 6.635

Force components x, y, z for each atom (eV/Å):
C 0.20 0.00 -0.19
Si -0.60 0.00 0.51
C 0.15 -0.25 -0.25
C 0.30 -0.07 -0.18
O -0.11 0.19 0.33
C 0.00 0.42 -0.70
C -0.01 -0.07 0.54
C -0.13 -0.39 -0.10
C 0.01 0.10 0.33
C 0.16 -0.03 -0.04
C 0.35 0.03 0.10
C -0.08 0.06 -0.47
C 0.01 -0.01 -0.60
C 0.08 -0.15 0.33